-- File --
********
For Mg3Zr, the GGA-PBE geometry in the Materials Project gives the theoretical powder diffraction line list in this record (a wavelength of 1.5418 Å).

```
data_Mg3Zr
_chemical_formula_sum 'Mg6 Zr2'
_symmetry_space_group_name_H-M 'P 63/m m c'
_symmetry_Int_Tables_number 194
_symmetry_space_group_name_Hall '-P 6c 2c'
_cell_length_a 6.3518
_cell_length_b 6.3518
_cell_length_c 5.0369
_cell_angle_alpha 90.00
_cell_angle_beta 90.00
_cell_angle_gamma 120.00
loop_
_atom_site_label
_atom_site_fract_x
_atom_site_fract_y
_atom_site_fract_z
Mg1 0.1671 0.3342 0.2500
Zr1 0.3333 0.6667 0.7500
```

Main lines, low angle first (2θ = 10–80°):
2θ 16.11, intensity 22, hkl 1 0 0
2θ 23.95, intensity 50, hkl 1 0 1
2θ 28.10, intensity 22, hkl 1 1 0
2θ 32.56, intensity 24, hkl 2 0 0
2θ 35.65, intensity 25, hkl 0 0 2
2θ 37.25, intensity 100, hkl 2 0 1

* * * * *

Record 1
For NdErSeO2, a DFT-relaxed cell (GGA-PBE, Alexandria) gives the simulated XRD peak list in this record (Cu Ka).
Lines closer than 0.1° are merged.

Top 6 peaks for 15 to 90 degrees two-theta, by angle:
| d (Å) | I_rel |
| --- | --- |
| 3.420 | 100.0 |
| 2.872 | 72.3 |
| 2.801 | 68.6 |
| 2.746 | 58.4 |
| 2.725 | 41.6 |
| 2.487 | 50.4 |

a = 6.613 Å, b = 4.079 Å, c = 7.717 Å
α = 90.00°, β = 108.38°, γ = 90.00°
Atoms (fractional coordinates):
Nd1 0.190 0.250 0.429
Nd2 0.810 0.750 0.571
Er1 0.170 0.250 0.921
Er2 0.830 0.750 0.079
Se1 0.454 0.750 0.748
Se2 0.546 0.250 0.252
O1 0.016 0.750 0.370
O2 0.018 0.750 0.889
O3 0.982 0.250 0.111
O4 0.984 0.250 0.630



Record 2
For HoHf2Al, a DFT-relaxed cell (GGA-PBE, Alexandria) gives the simulated XRD peak list in this record (Cu Ka).
Lines closer than 0.1° are merged.

Top 6 peaks for 15 to 90 degrees two-theta, by angle:
| d (Å) | I_rel |
| --- | --- |
| 4.445 | 21.2 |
| 3.144 | 18.3 |
| 2.567 | 100.0 |
| 2.223 | 49.8 |
| 1.572 | 33.9 |
| 1.341 | 26.7 |

a = 4.449 Å, b = 4.449 Å, c = 4.439 Å
α = 90.00°, β = 90.00°, γ = 90.00°
Atoms (fractional coordinates):
Ho1 0.000 0.000 0.000
Hf1 0.000 0.500 0.500
Hf2 0.500 0.000 0.500
Al1 0.500 0.500 0.000



Record 3
For Ga2Pt3Rh, a DFT-relaxed cell (GGA-PBE, Alexandria) gives the simulated XRD peak list in this record (Cu Ka).
Lines closer than 0.1° are merged.

Top 6 peaks for 15 to 90 degrees two-theta, by angle:
| d (Å) | I_rel |
| --- | --- |
| 2.298 | 64.8 |
| 2.265 | 30.5 |
| 2.217 | 100.0 |
| 2.206 | 60.4 |
| 2.064 | 50.9 |
| 1.906 | 31.0 |

a = 4.129 Å, b = 7.886 Å, c = 5.533 Å
α = 90.00°, β = 90.00°, γ = 90.00°
Atoms (fractional coordinates):
Ga1 0.000 0.142 0.000
Ga2 0.000 0.858 0.500
Ga3 0.500 0.346 0.387
Ga4 0.500 0.654 0.887
Pt1 0.000 0.180 0.532
Pt2 0.000 0.463 0.160
Pt3 0.000 0.537 0.660
Pt4 0.000 0.820 0.032
Pt5 0.500 0.319 0.863
Pt6 0.500 0.681 0.363
Rh1 0.500 0.036 0.231
Rh2 0.500 0.964 0.731



Record 4
For Er8TlRu2, a DFT-relaxed cell (GGA-PBE, Alexandria) gives the simulated XRD peak list in this record (Cu Ka).
Lines closer than 0.1° are merged.

Top 6 peaks for 15 to 90 degrees two-theta, by angle:
| d (Å) | I_rel |
| --- | --- |
| 2.869 | 100.0 |
| 2.830 | 66.8 |
| 2.707 | 44.5 |
| 2.616 | 79.1 |
| 2.525 | 95.0 |
| 2.104 | 27.8 |

a = 9.015 Å, b = 9.015 Å, c = 9.015 Å
α = 146.27°, β = 57.33°, γ = 135.09°
Atoms (fractional coordinates):
Er1 0.000 0.000 0.000
Er2 0.264 0.595 0.669
Er3 0.352 0.463 0.889
Er4 0.424 0.136 0.288
Er5 0.573 0.463 0.111
Er6 0.727 0.227 0.500
Er7 0.848 0.136 0.712
Er8 0.927 0.595 0.331
Tl1 0.296 0.796 0.500
Ru1 0.000 0.829 0.171
Ru2 0.657 0.829 0.829

* * * * *

NdTm4Cd: simulated powder diffraction line list (a wavelength of 1.5418 Å), based on a PBE-relaxed structure.
Peak positions follow from Bragg's law for the DFT cell and can differ from measured ones.

Structure:
Cell: 3.547 3.547 14.050 Å, 90.00 90.00 90.00°
Atoms (fractional coordinates):
Nd1 0.000 0.000 0.000
Tm1 0.000 0.000 0.354
Tm2 0.000 0.000 0.646
Tm3 0.500 0.500 0.180
Tm4 0.500 0.500 0.820
Cd1 0.500 0.500 0.500

The 10 most intense peaks (10 to 90 degrees two-theta), low angle first:
********

-- Work order --
Could you repeat every line above that contains the word "list"?

-- Solution --
For Mg3Zr, the GGA-PBE geometry in the Materials Project gives the theoretical powder diffraction line list in this record (a wavelength of 1.5418 Å).
For NdErSeO2, a DFT-relaxed cell (GGA-PBE, Alexandria) gives the simulated XRD peak list in this record (Cu Ka).
For HoHf2Al, a DFT-relaxed cell (GGA-PBE, Alexandria) gives the simulated XRD peak list in this record (Cu Ka).
For Ga2Pt3Rh, a DFT-relaxed cell (GGA-PBE, Alexandria) gives the simulated XRD peak list in this record (Cu Ka).
For Er8TlRu2, a DFT-relaxed cell (GGA-PBE, Alexandria) gives the simulated XRD peak list in this record (Cu Ka).
NdTm4Cd: simulated powder diffraction line list (a wavelength of 1.5418 Å), based on a PBE-relaxed structure.